The Ultimate Dummies Guide To Drive A Motorcycle

So, you’re interested in learning how to ride a motorcycle. Either traffic started annoying you, so you want something more mobile, or you’re just a motorbike enthusiast. One obstacle though, you have no idea how to ride a motorcycle.

Well, riding a motorcycle isn’t as hard as it looks, and learning how to ride one is nothing complicated. Since there are a lot of newbies out there with a profound interest in motorcycles, I thought I should make a guide on how to drive a motorcycle.

We will start with some basics. I’ll introduce you to the gear needed for riding a motorcycle, how to get a license etc. We will talk about the mechanics of riding modern bikes, and only then we will get to the actual driving. Here we go.

Necessary Motorcycle Gear

Necessary Motorcycle Gear

Like cars, you can’t even think about riding a motorcycle without making sure you have adequate safety gear. I believe most of you already know what gear I’m talking about. Most of you have seen some character on a show or a movie wearing motorcycle gear. Let’s go through each of the safety gear you need.

Motorcycle Helmet

An absolute necessity while riding a bike is wearing a motorcycle helmet on your head. This saves lives no, don’t let anybody tell you otherwise. Even if you’re taking a quick ride, your helmet should be on. Not only that, I advise on always having a backup with you. If a partner is riding with you or you lose the main one, you’ll know what to do.

The thing with motorcycle helmets is that they can be quite uncomfortable. But only if the helmet doesn’t fit the rider. So, you need to make sure you find the right size. Don’t worry though most motorcycle shops can size you. Or, you can just try the helmet and see if it fits you right.

Motorcycle Jacket

No biker plans on falling off his motorcycle, but it happens to everyone at least once. Seeing as how you’re beginners, it’s bound to happen to you. Don’t worry though, I’m not saying you’ll get in an accident. I’m talking about falling off the bike while you’re going really slow, and similar situations.

If you avoid taking head damage, falling off your bike will most likely only scrape you. That’s what the leather jacket is for. Even though the scrapes may sound like nothing serious, they can be painful. So, you want to avoid that.

Getting a motorcycle jacket is a must. First of all, it will save you from scrapes, so you can learn without being scared of falling off. But it will also save you from the wind and serious injuries. You’ll find a motorcycle jacket in a bike shop for sure but you can also go for some tight leather jackets. You want the jacket to be tight on your chest but you also want your arms to be free.

Another thing that you may be interested in is an Airbag Vest. Not many people know this but airbags are a thing for motorcycles too, not only cars. The vest will protect you from heavy damage to your ribs and body.

Boots & Gloves

Most beginners think that a helmet is just enough to ride a motorcycle. What they don’t know is that your boots are exposed to wear and tear. You may hurt your legs from the metal or the gear too. So, you can’t just wear any shoes or boots while on a bike. Get leather boots, something that will endure the damage from metals and that’s not slippy.

Gloves are important too. If you’re riding for quite some time, your hands are bound to get sweaty. When that happens, you’ll not be able to control the handle so well. Motorcycle gloves also protect you from insect bites.

You may also want to get leather pants. Most people don’t consider pants as safety gear but believe me it makes a difference. Jeans and other materials can be torn apart, leather will provide you some protection even if you fall.

Controlling A Motorcycle – Basics

Controlling A Motorcycle - Basics

We’ll get to the riding part, bear with me, this is something that you’ll definitely want to know. The thing is, before starting to drive, you want to get familiar with the controls. That’s what we’ll be covering here.

[Quantum chemistry results, kept here for reference]
........
Here is a molecular structure, C23H32CsN7SSe3Te2 from the Open Molecules 2025 dataset. Energies are from ωB97M-V with the def2-TZVPD basis set.

XYZ file:
```
69
Properties=species:S:1:pos:R:3:nbo_charge:R:1
N 3.0104 -1.7377 0.8948 -0.09
H 2.4999 -6.8292 -1.1696 0.23
H 0.1842 3.7356 1.2524 0.44
N 1.4984 1.4953 3.1274 -0.64
H -3.4786 -4.0886 -1.8317 0.25
H 2.0471 -5.1228 2.0618 0.21
H -0.0928 7.6869 -5.1574 0.19
H 1.3067 -5.4731 0.4864 0.24
C 4.7141 -5.4692 1.1428 -0.61
Te -0.1652 -3.3117 -4.5244 0.08
H 4.6902 -5.2208 2.2066 0.21
Cs 0.5707 0.4923 -3.1746 0.92
C 3.3916 -6.0682 0.6689 -0.22
C -6.5122 -2.0436 -0.5843 -0.22
C -2.8314 7.2742 -3.2239 -0.21
Te -0.4412 4.0181 -1.4359 -0.52
H -2.3625 8.6323 -4.8297 0.19
C 2.2148 -5.1353 0.9863 -0.21
H -0.3146 5.8618 2.8342 0.22
Se 0.9577 -0.8280 -6.9320 -0.76
C 2.3483 2.2350 4.0551 -0.22
N 2.4399 -3.7465 0.6118 -0.21
H -7.3586 -1.4654 -0.2363 0.21
N -2.0453 -0.9860 -2.0847 -0.30
H -5.2524 -0.3208 -0.8834 0.23
H 2.8529 2.2710 6.1601 0.20
H -5.5782 -5.2431 -1.1836 0.22
C 0.9601 2.0801 2.0016 0.29
H 4.2082 -7.2455 -0.9469 0.20
H 3.3943 2.1484 3.7427 0.19
C -4.3353 -3.5271 -1.4800 -0.16
H 2.0882 3.2872 3.9929 0.20
C 2.1939 1.7257 5.4804 -0.61
H 0.6900 5.8186 -3.7609 0.21
C -2.3859 6.2156 -2.4404 -0.26
C -5.3404 -1.3972 -0.9466 -0.16
N 2.6448 -1.8674 -0.4043 -0.32
C -1.1125 5.6554 -2.6116 -0.22
H 1.9289 -3.6095 -1.4780 0.28
C 3.4591 -6.4621 -0.8006 -0.62
H 0.9781 5.3426 3.9149 0.20
C 2.2989 -3.1239 -0.5653 0.14
C -0.7445 7.2792 -4.3925 -0.22
H -3.0379 5.8045 -1.6781 0.21
H -0.1398 3.0856 4.1249 0.19
C -0.0755 5.1995 3.6677 -0.61
N 2.8837 -2.8565 1.5165 -0.11
H 3.7302 -5.6159 -1.4367 0.23
H 2.4468 0.6652 5.5381 0.21
H -1.4077 3.6305 3.0427 0.19
H 1.1632 1.8433 5.8205 0.20
C -2.0141 7.8145 -4.2099 -0.27
N 0.4577 3.3365 2.1495 -0.65
H 4.9416 -4.5550 0.5915 0.22
H 1.8347 0.5688 2.8976 0.41
S 0.9575 1.2818 0.5541 -0.21
C -0.3032 6.2222 -3.6047 -0.26
C -3.0409 -1.4716 -1.7931 0.29
Se 1.8157 -2.8068 -6.0600 -0.29
H 5.5295 -6.1753 0.9690 0.20
C -0.3477 3.7506 3.2896 -0.22
C -5.5116 -4.1652 -1.1154 -0.20
H 3.2008 -6.9722 1.2591 0.19
C -4.2559 -2.1430 -1.3958 -0.16
C -6.5988 -3.4264 -0.6716 -0.21
H -7.5188 -3.9285 -0.3980 0.21
H -3.8264 7.6779 -3.0682 0.19
Se 0.5786 -5.1902 -3.0598 -0.93
H -0.6818 5.4932 4.5283 0.20
```

Properties
ΔE to the lowest compared entry with this formula, charge and spin   9.1 kcal per mole
Kohn-Sham gap   4.25 eV
Maximum force   0.45 eV Å⁻¹
DFT total energy   -9437.66969 Ha
E_HOMO   -0.63 eV
Charge   -2

=====

[1]
C40H100O20 | ωB97M-V/def2-TZVPD

Geometry (Å):
1 C 1.620 3.786 -1.919
2 O 1.899 2.455 -2.411
3 C 1.106 1.958 -3.498
4 C 1.772 0.732 -4.137
5 O 2.577 -0.057 -3.159
6 C 2.681 -1.430 -3.592
7 H 1.451 4.464 -2.756
8 H 2.442 4.131 -1.292
9 H 0.675 3.929 -1.394
10 H 1.010 2.736 -4.254
11 H 0.090 1.670 -3.227
12 H 2.614 1.052 -4.750
13 H 1.205 0.114 -4.833
14 H 2.864 -2.131 -2.778
15 H 3.314 -1.807 -4.395
16 H 1.744 -1.889 -3.909
17 C -6.792 2.521 -0.114
18 O -5.795 2.022 -1.007
........

You’ll see that controlling a motorcycle is a lot like driving a car. There’s a clutch lever to engage and disengage. A throttle for accelerating( gas pedal in cars). Gear for shifting. Brake lever that controls the front wheel, and a rear brake that controls the back wheel.

The Clutch Lever

I think the best way to explain some of these is by comparing them to cars, seeing as how most people are familiar with driving a car. So, you’ll have to forgive me if I mention cars too often. Either way, I’ll explain where the clutch is located and what is it for.

The clutch engages and disengages the transmission. Both cars and motorcycles have this, in cars, it’s a pedal, in motorcycles it’s a lever. It’s used to disengage the transmission while you’re changing gears. Basically, it cuts off power to the front wheel. 

So, the clutch lever is something you’ll regularly use while riding your motorcycle. It is located on the left handlebar. You’re holding the handlebar with your hand and you pull the lever with your fingers(in some models you pull it with your hand).

Before starting to drive, you want to get familiar with the clutch lever. Instinctively, you’ll want to pull the lever in one quick motion but that’s not how it’s done. You should pull the lever rather smoothly. Releasing the lever should be smooth action too. You’ll get a feel for it once you actually have a bike in front of you.

Shifting Gears

Shifting Gears

Same as with cars, you’ll want to shift gears as you gradually accelerate or decelerate. Most modern bikes have at least up to 5 gears, more powerful bikes have a 6th gear. However, shifting gears in motorcycles isn’t the same as cars.

The gear is located on the left side, close to where you place your left foot. You shift gears by moving the lever up or down. When the clutch lever is pulled, you can lift up or down the gear shifter. Motorcycle gears usually go this way: from down to up 1st gear, neutral(N), 2nd gear, 3rd gear, 4th gear, 5th gear.

Just like the clutch, the gear also takes some getting used to. Once you get the hang of it, you’ll get it right without thinking. There’s an indicator located on the board that tells you in which gear you’re in.

The Throttle

Now, the fun part, accelerating the bike. This is operated by the throttle on the right handlebar. The right handlebar is basically the throttle. You’ve seen the generic movie scene where the camera closes in on the throttle and the driver twisting the throttle.

So, that’s how you accelerate. By gripping the throttle and twisting your hand towards you(down) you speed up. Again, this takes some getting used to. You’ll want to be gentle and gradually accelerate. The throttle is sensitive, so you may speed up too much.

Brake Levers

This is something you’ll want to learn as quickly as possible. Motorcycles have a brake lever for the front wheel and a foot brake for the rear brakes. The brake lever is on the right-hand side, the foot brake is also on the right side near the peg.

Braking is not that complicated, you just have to get used to it. All of this will be routine for you after you gain a bit of driving experience. Same as with the clutch lever, you want to be careful with the brake lever.

As a general rule, it’s better to use the rear brakes first, so you slow down with the rear wheel.  When you’ve slowed down enough switch to the front brake. You can be a bit rougher with the rear brakes but don’t overdo it. You may think that the rear wheel can’t make you flip but you can still fall off. These are some basic skills that every motorcycle rider education class teaches.


I think a quick summary will help you grasp things better. The handlebar controls match the controls near the foot peg. On the left side, you have gear shifting, on the right side, you have braking and accelerating. There are foot controls only for shifting and braking. The gears from down to up 1st gear, Neutral, 2nd gear, 3rd gear, 4th, etc. If you’re having trouble finding a gear just go to neutral and shift up.

********
{
  "formula": "C16H17N",
  "method": "ωB97M-V/def2-TZVPD",
  "species": ["N", "C", "C", "C", "C", "C", "C", "C", "C", "C", "C", "C", "C", "C", "C", "C", "C", "H", "H", "H", "H", "H", "H", "H", "H", "H", "H", "H", "H", "H", "H", "H", "H", "H"],
  "coordinates": [[1.1190, -0.3859, 4.1043], [0.3672, 0.8600, 0.6761], [-4.1262, 1.8006, -4.6228], [-3.0835, -0.3279, -3.6731], [-2.2387, -0.9825, -2.7995], [2.9436, -1.3038, 3.0903], [4.1274, -2.1682, 2.8104], [-1.3880, -0.1996, -2.0411], [0.9586, -0.2073, 2.7475], [-3.2267, 1.0434, -3.7438], [2.1124, -0.7087, 2.0740], [-2.2571, 1.8088, -3.0236], [1.5236, 0.3990, 0.0475], [2.3586, -0.4654, 0.7415], [-1.4132, 1.1757, -2.1075], [0.1237, 0.6392, 2.0166], [2.3057, -1.0760, 4.2787], [-2.2146, 2.8933, -2.9380], [3.7551, -3.1804, 3.0339], [-3.6873, -0.9646, -4.3248], [-4.3398, 2.7967, -4.2411], [0.7331, 0.2060, 4.8197], [-5.0759, 1.3518, -4.8932], [2.5072, -1.3339, 5.3158], [-3.6546, 2.0470, -5.5879], [4.8637, -2.0292, 3.6072], [-2.0960, -2.0499, -2.8139], [-0.7569, 1.0645, 2.5236], [-0.6879, 1.7634, -1.5619], [1.6254, 0.7005, -0.9794], [-0.2991, 1.6061, 0.2693], [3.2676, -0.8804, 0.3062], [-0.7189, -0.7264, -1.3591], [4.6083, -2.2711, 1.8401]],
  "atomic_forces_ev_per_a": [[-0.01, -0.56, -0.88], [-0.06, 1.00, 1.29], [-0.57, 0.90, -1.56], [-1.39, -1.04, -0.74], [0.87, 1.01, -0.32], [-0.42, 0.14, -0.47], [-0.16, -1.44, 1.81], [0.34, -1.14, 1.03], [1.02, 1.52, -1.18], [2.33, 1.25, 0.95], [-0.64, -0.32, 1.74], [-0.64, -0.86, 1.35], [-0.71, -0.57, 0.10], [0.34, 0.40, -1.03], [0.09, 0.26, -1.21], [-1.00, -0.60, 1.04], [0.31, 0.03, 0.60], [-0.45, -0.07, -0.73], [0.25, -0.08, -0.27], [-0.12, 0.31, 0.12], [-0.11, -0.05, 0.43], [-0.21, -0.13, -0.15], [-0.10, -0.39, 0.25], [0.52, -0.16, -0.42], [0.11, -0.36, 0.13], [0.32, 0.18, -0.37], [-0.33, -0.18, 0.06], [0.43, 0.01, -0.43], [-0.17, 0.00, -0.02], [0.57, -0.21, -0.29], [0.13, -0.24, -0.54], [-0.22, 0.19, -0.09], [0.00, 0.37, -0.09], [-0.31, 0.83, -0.09]],
  "lowdin_charge": [0.065, -0.128, -0.074, -0.068, -0.084, -0.227, -0.049, -0.103, -0.203, -0.280, -0.148, -0.031, -0.090, -0.027, -0.099, -0.026, -0.067, 0.109, 0.083, 0.114, 0.075, 0.149, 0.076, 0.122, 0.090, 0.076, 0.102, 0.115, 0.074, 0.097, 0.078, 0.111, 0.096, 0.072],
  "de_lowest_kcal_mol": 26.4,
  "homo_lumo_gap_ev": 8.7,
  "smiles": "Cc1c[nH]c2ccccc12.Cc1ccccc1"
}

=====

(1)
********

Riding A Motorcycle

Riding A Motorcycle

Now that we’ve gotten the basic motorcycle operations out of the way, you’re one step closer to becoming motorcycle drivers. What was covered so far will significantly help you to learn easier? So, don’t proceed with this part if you are not familiar with the basic mechanics.

Mounting The Bike

First, you need to learn how to get on the bike. A lot of beginners have trouble with this part although it’s a basic action that every skilled driver is used to. Getting on the bike is something that you learn as a routine.

To mount the bike, place yourself on the left side. Slightly shift yourself, so you’re facing the left handlebar. Grip the handlebar and kick your right leg to the right side of the bike. As soon as you mounted the bike place your feet on the ground firmly.

Starting The Engine

Starting The Engine

This too is one of the easy steps. There are four things you need to take care of when starting your bike. The clutch, the kill switch, the ignition key, and the start button.

  1. Pull the clutch lever and turn the kill switch(red color, located on the right bar) to ON. 
  2. Turn the key to ignition and put the bike in Neutral gear.
  3. Once the gauge lights up N, press the Starter Button/Ignition Button(near the kill switch, has a lighting bolt on it).
  4. Your bike is turned on, let the motor warm up.

If you have an older bike model, you may have a kickstart lever. This means you need to kickstart your engine by applying pressure to the lever. The lever is located on the right side near the right foot.

Tip: Before hitting the road for the first time, practice moving the bike with your feet. This is called powerwalking and is used to teach beginners.

Accelerating & Turning

Once you’ve started the engine you’re ready to go. Just make sure to put out the kickstand. Newer models can’t start without the kickstand being put out. Let’s see how to ride a bike.

  1. Start by shifting into first gear and slowly releasing the clutch. With this movement, your bike will start slowly shifting upwards. In some cases, you may need to add a bit of throttle so the engine doesn’t turn off.
  2. Then, you’ll want to twist the throttle so you speed up. Going slow on a bike without putting your legs on the ground is hard. So, accelerate just a bit so you can put up your feet on the pegs. 
  3. Your motorcycle is moving well now. Twist the throttle to accelerate, and use the brakes to slow down or come to a stop

Turning is a bit complicated and it takes practice. I’ll explain briefly how to turn but I highly advise getting used to turning before hitting the road for real.

Motorcycles can turn at speeds higher than 10 mph. So, make sure you remember that. The controls are similar to a bicycle. You turn by pushing the handlebar on the same side on which you are turning. You should follow the turn with your head. Don’t go down with your body too much.

Don’t use your brakes while turning, you slow down before turning. Release the throttle and push down on the handlebar to turn on the side you want to. Follow the turn with your eyes. Once you’ve completed the turn release pressure from the handlebar.

Hitting The Road

Now, if you’ve mastered each step so far, you may be ready enough to ride by yourself. If you’ve gone through the driver education program, you’re definitely ready. But without your license, you still can’t drive on public roads.

I suspect that some of you are hoping you will be able to ride just because you read this. I’m highly against that. Either way, I can’t stop you. What I can do though is tell you how driving on public roads is very different than driving on an empty road.

The thing is, when you’re practicing on an empty road, you don’t get used to checking for Object In Mirror. You can also forget about traffic laws. So, when transitioning from practicing to real driving, you have to be patient. Follow every rule necessary, avoid heavy traffic, always have your motorcycle riding gear, follow your mirrors.

Before Starting

All motorcycle riders started by just testing out how a bike feels. I highly recommend getting used to the controls before riding your motorcycle. You don’t want to not able to shift gears or take too long shifting gears. So, practice pulling the levers, shifting gears, braking, and twisting the throttle. If you get used to these actions, learning to drive will be much easier. Also, learning to drive is far better on an empty road, avoid traffic.

Summary Of Important Things

I noticed that this post is getting quite large, I don’t want to confuse you. Let’s revisit some things, hopefully, this will save you some re-reading.

  • Get familiar with every control. Practice the gear shifter, know your right and left foot position, get used to the clutch and shift lever. Get used to the throttle and the brakes.
  • Practice driving techniques. Go out to an empty road, avoid public roads and heavy traffic. Practice Low Speed Maneuvering. Practice maintaining consistent power with the throttle.  
  • Enroll in a driver education program. There, pay attention to the class about traffic laws, that’s important. Get your motorcycle permit and start riding.

Molecular data, kept here for reference:
+++
[1]
{"formula": "C5H8O", "method": "ωB97M-V with the def2-TZVPD basis set", "elements": ["C", "C", "C", "O", "C", "C", "H", "H", "H", "H", "H", "H", "H", "H"], "positions_angstrom": [[1.168708, -0.288235, 0.596370], [0.549283, -1.275805, -0.061966], [-0.810595, -1.118662, -0.677056], [-1.503534, -0.024240, -0.128006], [-0.685924, 1.147871, -0.119887], [0.478688, 1.027234, 0.859875], [2.203072, -0.398354, 0.925868], [1.061884, -2.198993, -0.302891], [-1.456780, -1.965682, -0.874417], [-0.672624, -1.148671, -1.831666], [-1.333290, 1.995047, 0.124129], [-0.290179, 1.284608, -1.135728], [1.165983, 1.877076, 0.725914], [0.125308, 1.086804, 1.899462]], "forces_ev_per_angstrom": [[-0.204, -0.297, -0.110], [0.099, -0.034, -0.174], [0.492, 0.043, -1.939], [-0.004, -0.126, -0.479], [-0.017, 0.107, -0.087], [-0.124, -0.094, -0.094], [-0.306, -0.151, 0.005], [0.152, -0.019, 0.103], [-0.456, -0.669, 2.015], [0.491, 1.647, 0.971], [0.007, -0.208, -0.038], [-0.006, 0.136, 0.080], [-0.140, -0.254, -0.065], [0.016, -0.081, -0.189]], "gap_ev": 10.2, "smiles": "C1=CCOCC1", "de_lowest_kj_mol": 154.78, "multiplicity": 1, "energy_ev": -7360.651, "e_homo_ev": -9.15}

---

[2]
{"formula": "C5H8O", "method": "ωB97M-V with the def2-TZVPD basis set", "elements": ["O", "C", "C", "C", "C", "C", "H", "H", "H", "H", "H", "H", "H", "H"], "positions_angstrom": [[1.265184, 0.306905, 1.834010], [0.739689, -0.845308, 1.443125], [-0.646112, -0.526264, 0.916093], [-0.348809, -0.162543, -0.531163], [-0.285872, 1.308305, -0.847238], [-0.058301, -1.111817, -1.420885], [2.180478, 0.126097, 2.095266], [-1.128284, 0.310794, 1.438958], [-1.275658, -1.417419, 0.978610], [-1.291083, 1.701508, -1.044736], [0.336377, 1.507491, -1.724921], [0.121652, 1.867905, 0.001946], [-0.100883, -2.165503, -1.157625], [0.225701, -0.865809, -2.441436]], "forces_ev_per_angstrom": [[0.151, -0.334, -0.021], [-0.207, 0.402, 0.029], [-0.044, -0.172, 0.038], [0.100, -0.096, -0.196], [0.037, 0.049, -0.019], [-0.049, 0.074, 0.081], [-0.147, 0.088, 0.015], [0.121, -0.112, -0.053], [0.115, 0.126, -0.034], [0.123, -0.051, 0.084], [-0.126, -0.056, 0.092], [-0.029, -0.083, -0.145], [0.009, 0.163, -0.018], [-0.055, 0.001, 0.149]], "gap_ev": 9.5, "de_lowest_kj_mol": 306.67, "multiplicity": 1, "energy_ev": -7359.077, "e_homo_ev": -8.56}

---

[3]
+++

Necessary Documents

Motorcycles are heavy machines. States want to regulate the selling and operation of these machines because they affect people too much. So, most states require you to do some things in order to ride a motorcycle legally.

Motorcycle Training Courses

It depends on where you live but most likely, you’ll need to go through a learn-to-drive course before getting your license. States learned that proper rider education is crucial to avoiding motorcycle accidents. So, check if that’s necessary for your state, and if so, take the course.

Motorcycle License

Just like a car license, you need a motorcycle permit. If you’re from the US, you may have heard “motorcycle instruction permit” instead of  “license”. Getting a motorcycle license can either be simple or complicated. Again, it depends on where you live. A valid motorcycle license means the state recognizes that you’re a skilled driver and you’re free to roam the roads.


This is also one of the things that depend on the state you live in. I’m willing to make a bet that your state requires you to register the vehicle you drive. So, check if you need to register the bike you own.


So, that was our guide on how to ride a motorcycle. I don’t think that you will be able to ride one just because of this guide. I highly recommend taking a driving course, even if it’s not necessary. This is where we’re ending this guide, one last thing though. Make sure that you are always practicing motorcycle safety,  have your motorcycle in perfect condition, and drive responsibly.

Paul Landry